File:
........
No. 1
## Al79Fe26Si18 (GGA-PBE)

Data for a relaxed structure of Al79Fe26Si18.

Calculated values
SG: P-1 (2)
corrected total energy (MP2020 scheme): -0.195 hartree per atom
energy of formation: -0.30 eV per atom
magnetization: 0.14 μB per formula unit

a = 8.801 Å, b = 8.806 Å, c = 24.494 Å
α = 82.90°, β = 82.92°, γ = 70.89°
Element x y z (fractional)
Al 0.000 0.000 0.000
Al 0.003 0.884 0.896
Al 0.008 0.701 0.055
Al 0.095 0.599 0.698
Al 0.104 0.314 0.744
Al 0.107 0.497 0.597
Al 0.116 0.202 0.647
Al 0.126 0.905 0.416
Al 0.131 0.047 0.310
Al 0.141 0.354 0.108
Al 0.147 0.772 0.784
Al 0.153 0.153 0.462
Al 0.164 0.448 0.480
Al 0.165 0.735 0.514
Al 0.169 0.598 0.155
Al 0.171 0.882 0.187
Al 0.180 0.179 0.205
Al 0.190 0.559 0.880
Al 0.192 0.983 0.560
Al 0.202 0.287 0.357
Al 0.208 0.427 0.251
Al 0.224 0.141 0.021
Al 0.237 0.825 0.074
Al 0.243 0.022 0.917
Al 0.254 0.725 0.966
Al 0.326 0.619 0.616
Al 0.329 0.443 0.765
Al 0.338 0.223 0.568
Al 0.341 0.047 0.716
Al 0.427 0.931 0.365
Al 0.438 0.646 0.412
Al 0.441 0.830 0.263
Al 0.449 0.536 0.314
Al 0.457 0.239 0.084
Al 0.465 0.377 0.977
Al 0.475 0.684 0.774
Al 0.478 0.106 0.452
Al 0.486 0.487 0.128
Al 0.498 0.067 0.182
Al 0.500 0.217 0.851
Al 0.500 0.783 0.149
Al 0.502 0.933 0.818
Al 0.514 0.513 0.872
Al 0.522 0.894 0.548
Al 0.525 0.316 0.226
Al 0.535 0.623 0.023
Al 0.543 0.761 0.916
Al 0.551 0.464 0.686
Al 0.559 0.170 0.737
Al 0.562 0.354 0.588
Al 0.573 0.069 0.635
Al 0.659 0.953 0.284
Al 0.662 0.777 0.432
Al 0.671 0.557 0.235
Al 0.674 0.381 0.384
Al 0.746 0.275 0.034
Al 0.757 0.978 0.083
Al 0.763 0.175 0.926
Al 0.776 0.859 0.979
Al 0.792 0.573 0.749
Al 0.798 0.713 0.643
Al 0.808 0.017 0.440
Al 0.810 0.441 0.120
Al 0.820 0.821 0.795
Al 0.829 0.118 0.813
Al 0.831 0.402 0.845
Al 0.835 0.265 0.486
Al 0.836 0.552 0.520
Al 0.847 0.847 0.538
Al 0.853 0.228 0.216
Al 0.859 0.646 0.892
Al 0.869 0.953 0.690
Al 0.874 0.095 0.584
Al 0.884 0.798 0.353
Al 0.893 0.503 0.403
Al 0.896 0.686 0.256
Al 0.905 0.401 0.302
Al 0.992 0.299 0.945
Al 0.997 0.116 0.104
Fe 0.034 0.539 0.802
Fe 0.041 0.284 0.553
Fe 0.046 0.793 0.612
Fe 0.056 0.058 0.736
Fe 0.275 0.276 0.931
Fe 0.287 0.539 0.054
Fe 0.292 0.049 0.114
Fe 0.298 0.793 0.864
Fe 0.333 0.333 0.667
Fe 0.368 0.874 0.468
Fe 0.375 0.616 0.219
Fe 0.378 0.127 0.279
Fe 0.391 0.390 0.402
Fe 0.609 0.610 0.598
Fe 0.622 0.873 0.721
Fe 0.625 0.384 0.781
Fe 0.632 0.126 0.532
Fe 0.667 0.667 0.333
Fe 0.702 0.207 0.136
Fe 0.708 0.951 0.886
Fe 0.713 0.461 0.946
Fe 0.725 0.724 0.069
Fe 0.944 0.942 0.264
Fe 0.954 0.207 0.388
Fe 0.959 0.716 0.447
Fe 0.966 0.461 0.198
Si 0.147 0.462 0.993
Si 0.164 0.040 0.816
Si 0.167 0.731 0.286
Si 0.168 0.601 0.381
Si 0.174 0.292 0.847
Si 0.184 0.876 0.673
Si 0.483 0.791 0.661
Si 0.498 0.931 0.047
Si 0.499 0.372 0.484
Si 0.501 0.628 0.516
Si 0.502 0.069 0.953
Si 0.517 0.209 0.339
Si 0.816 0.124 0.327
Si 0.826 0.708 0.153
Si 0.832 0.399 0.619
Si 0.833 0.269 0.714
Si 0.836 0.960 0.184
Si 0.853 0.538 0.007

***

No. 2
## SiC (GGA-PBE)

Data for a relaxed structure of SiC.

Calculated values
piezoelectric modulus e_max: 0.1 C/m²
SG: P6_3mc (186)
energy of formation: -0.20 eV per atom
excess energy over the best structure of this formula in the dataset: 0.2 meV/atom

a = 3.095 Å, b = 3.095 Å, c = 15.185 Å
α = 90.00°, β = 90.00°, γ = 120.00°
Element x y z (fractional)
Si 0.000 0.000 0.000
Si 0.000 0.000 0.500
Si 0.333 0.667 0.167
Si 0.333 0.667 0.833
Si 0.667 0.333 0.333
Si 0.667 0.333 0.667
C 0.000 0.000 0.375
C 0.000 0.000 0.875
C 0.333 0.667 0.042
C 0.333 0.667 0.708
C 0.667 0.333 0.208
C 0.667 0.333 0.542

***

No. 3
## Mg6TiC (GGA-PBE)

Data for a relaxed structure of Mg6TiC.

Calculated values
SG: Amm2 (38)
energy of formation: 0.18 eV per atom
magnetization: 0.00 μB per formula unit
excess energy over the best structure of this formula in the dataset: 0.0 meV/atom

a = 3.215 Å, b = 7.125 Å, c = 7.125 Å
α = 85.62°, β = 90.00°, γ = 90.00°
Element x y z (fractional)
Mg 0.000 0.000 0.000
Mg 0.000 0.117 0.430
Mg 0.000 0.430 0.117
........

Job:
Please copy all of the rows further up unchanged.

Done:
No. 1
## Al79Fe26Si18 (GGA-PBE)

Data for a relaxed structure of Al79Fe26Si18.

Calculated values
SG: P-1 (2)
corrected total energy (MP2020 scheme): -0.195 hartree per atom
energy of formation: -0.30 eV per atom
magnetization: 0.14 μB per formula unit

a = 8.801 Å, b = 8.806 Å, c = 24.494 Å
α = 82.90°, β = 82.92°, γ = 70.89°
Element x y z (fractional)
Al 0.000 0.000 0.000
Al 0.003 0.884 0.896
Al 0.008 0.701 0.055
Al 0.095 0.599 0.698
Al 0.104 0.314 0.744
Al 0.107 0.497 0.597
Al 0.116 0.202 0.647
Al 0.126 0.905 0.416
Al 0.131 0.047 0.310
Al 0.141 0.354 0.108
Al 0.147 0.772 0.784
Al 0.153 0.153 0.462
Al 0.164 0.448 0.480
Al 0.165 0.735 0.514
Al 0.169 0.598 0.155
Al 0.171 0.882 0.187
Al 0.180 0.179 0.205
Al 0.190 0.559 0.880
Al 0.192 0.983 0.560
Al 0.202 0.287 0.357
Al 0.208 0.427 0.251
Al 0.224 0.141 0.021
Al 0.237 0.825 0.074
Al 0.243 0.022 0.917
Al 0.254 0.725 0.966
Al 0.326 0.619 0.616
Al 0.329 0.443 0.765
Al 0.338 0.223 0.568
Al 0.341 0.047 0.716
Al 0.427 0.931 0.365
Al 0.438 0.646 0.412
Al 0.441 0.830 0.263
Al 0.449 0.536 0.314
Al 0.457 0.239 0.084
Al 0.465 0.377 0.977
Al 0.475 0.684 0.774
Al 0.478 0.106 0.452
Al 0.486 0.487 0.128
Al 0.498 0.067 0.182
Al 0.500 0.217 0.851
Al 0.500 0.783 0.149
Al 0.502 0.933 0.818
Al 0.514 0.513 0.872
Al 0.522 0.894 0.548
Al 0.525 0.316 0.226
Al 0.535 0.623 0.023
Al 0.543 0.761 0.916
Al 0.551 0.464 0.686
Al 0.559 0.170 0.737
Al 0.562 0.354 0.588
Al 0.573 0.069 0.635
Al 0.659 0.953 0.284
Al 0.662 0.777 0.432
Al 0.671 0.557 0.235
Al 0.674 0.381 0.384
Al 0.746 0.275 0.034
Al 0.757 0.978 0.083
Al 0.763 0.175 0.926
Al 0.776 0.859 0.979
Al 0.792 0.573 0.749
Al 0.798 0.713 0.643
Al 0.808 0.017 0.440
Al 0.810 0.441 0.120
Al 0.820 0.821 0.795
Al 0.829 0.118 0.813
Al 0.831 0.402 0.845
Al 0.835 0.265 0.486
Al 0.836 0.552 0.520
Al 0.847 0.847 0.538
Al 0.853 0.228 0.216
Al 0.859 0.646 0.892
Al 0.869 0.953 0.690
Al 0.874 0.095 0.584
Al 0.884 0.798 0.353
Al 0.893 0.503 0.403
Al 0.896 0.686 0.256
Al 0.905 0.401 0.302
Al 0.992 0.299 0.945
Al 0.997 0.116 0.104
Fe 0.034 0.539 0.802
Fe 0.041 0.284 0.553
Fe 0.046 0.793 0.612
Fe 0.056 0.058 0.736
Fe 0.275 0.276 0.931
Fe 0.287 0.539 0.054
Fe 0.292 0.049 0.114
Fe 0.298 0.793 0.864
Fe 0.333 0.333 0.667
Fe 0.368 0.874 0.468
Fe 0.375 0.616 0.219
Fe 0.378 0.127 0.279
Fe 0.391 0.390 0.402
Fe 0.609 0.610 0.598
Fe 0.622 0.873 0.721
Fe 0.625 0.384 0.781
Fe 0.632 0.126 0.532
Fe 0.667 0.667 0.333
Fe 0.702 0.207 0.136
Fe 0.708 0.951 0.886
Fe 0.713 0.461 0.946
Fe 0.725 0.724 0.069
Fe 0.944 0.942 0.264
Fe 0.954 0.207 0.388
Fe 0.959 0.716 0.447
Fe 0.966 0.461 0.198
Si 0.147 0.462 0.993
Si 0.164 0.040 0.816
Si 0.167 0.731 0.286
Si 0.168 0.601 0.381
Si 0.174 0.292 0.847
Si 0.184 0.876 0.673
Si 0.483 0.791 0.661
Si 0.498 0.931 0.047
Si 0.499 0.372 0.484
Si 0.501 0.628 0.516
Si 0.502 0.069 0.953
Si 0.517 0.209 0.339
Si 0.816 0.124 0.327
Si 0.826 0.708 0.153
Si 0.832 0.399 0.619
Si 0.833 0.269 0.714
Si 0.836 0.960 0.184
Si 0.853 0.538 0.007

***

No. 2
## SiC (GGA-PBE)

Data for a relaxed structure of SiC.

Calculated values
piezoelectric modulus e_max: 0.1 C/m²
SG: P6_3mc (186)
energy of formation: -0.20 eV per atom
excess energy over the best structure of this formula in the dataset: 0.2 meV/atom

a = 3.095 Å, b = 3.095 Å, c = 15.185 Å
α = 90.00°, β = 90.00°, γ = 120.00°
Element x y z (fractional)
Si 0.000 0.000 0.000
Si 0.000 0.000 0.500
Si 0.333 0.667 0.167
Si 0.333 0.667 0.833
Si 0.667 0.333 0.333
Si 0.667 0.333 0.667
C 0.000 0.000 0.375
C 0.000 0.000 0.875
C 0.333 0.667 0.042
C 0.333 0.667 0.708
C 0.667 0.333 0.208
C 0.667 0.333 0.542

***

No. 3
## Mg6TiC (GGA-PBE)

Data for a relaxed structure of Mg6TiC.

Calculated values
SG: Amm2 (38)
energy of formation: 0.18 eV per atom
magnetization: 0.00 μB per formula unit
excess energy over the best structure of this formula in the dataset: 0.0 meV/atom

a = 3.215 Å, b = 7.125 Å, c = 7.125 Å
α = 85.62°, β = 90.00°, γ = 90.00°
Element x y z (fractional)
Mg 0.000 0.000 0.000
Mg 0.000 0.117 0.430
Mg 0.000 0.430 0.117